Virus Shapes Risk of Multiple Sclerosis

A massive, decade-long medical study has removed some lingering doubts that the neurological disease multiple sclerosis (MS) is linked to a common viral infection. For years, research findings have pointed toward the connection, but whether the infection is a cause, a result, or unrelated to MS has remained an open question.

Now, in a large-scale investigation into that question, researchers have found a statistical smoking gun linking risk of the disease to the body’s long-lasting immune response to Epstein-Barr virus.

Records of crystals from another source follow:
For AcAlOs, a GGA-PBE-relaxed structure gives the computed powder X-ray diffraction pattern in this record (Cu Kα (λ = 1.5418 Å)).
Lines closer than 0.1° are merged.

Structure:
a b c (Å): 4.5681 4.5682 7.3245
angles (deg): 90.00 90.09 90.00
Sites, in units of the cell vectors:
Ac1 0.2494 0.2500 0.2036
Ac2 0.7506 0.7500 0.7964
Al1 0.2504 0.2500 0.6559
Al2 0.7496 0.7500 0.3441
Os1 0.2500 0.7500 0.5000
Os2 0.7500 0.2500 0.5000

The 8 most intense peaks (2θ from 10° to 90°), by angle:

Epstein-Barr, a herpes virus, infects more than 9 in 10 people worldwide. Fortunately, most tots who catch it develop just a mild flu, and people infected later in life usually come down with nothing worse than mononucleosis (SN: 10/10/98, p. 229).

In contrast, the crippling autoimmune disease MS occurs in about 1 in 1,000 people in the United States. The disease unfolds as a person’s immune cells attack a protein called myelin. Sheaths of myelin normally wrap around and protect parts of nerve cells. The autoimmune attack causes the nerve cells to malfunction and can produce coordination and speech problems. Genetics plays a role, but precisely what triggers the onset of MS remains unknown.

To investigate the virus’ purported link to MS, Alberto Ascherio of the Harvard School of Public Health in Boston and his team took blood samples from more than 62,000 women. The researchers tested the blood for antibodies that bind specifically to the Epstein-Barr virus. Many of the participants harbored such antibodies in their blood, indicating that they had previously been infected.

Eighteen of the women were diagnosed with MS during the 10-year study. The researchers compared the prediagnosis concentrations of antibodies in those patients with the concentrations in volunteers who didn’t develop MS. Relative to the women without MS, those who developed symptoms had, on average, four times the blood concentration of one type of Epstein-Barr antibody. The 126 women with MS when the study began also had elevated Epstein-Barr antibodies, Ascherio’s team reports in the Dec. 26, 2001 Journal of the American Medical Association.

The study is “an important addition to the growing body of literature suggesting a link between [Epstein-Barr virus] and MS,” says Robert D. Siegel, an immunologist at Stanford University.

This research has a design advantage over previous studies, says David A. Hafler of Harvard Medical School in Boston. Most participants were tested before they exhibited MS symptoms, thereby reducing the likelihood that the disease elevates viral-antibody concentrations.

Hafler deems the finding an “important step forward” in unearthing the roots of MS, but he cautions that it “doesn’t directly answer the question of whether [Epstein-Barr virus] causes the disease.”

## Attached: data records
For SiAg2AsSe4, a crystal structure in Alexandria, relaxed with PBE gives the simulated PXRD pattern in this record (λ = 1.5418 Å (Cu Kα)).
Peak positions follow from Bragg's law for the DFT cell and can differ from measured ones.

Principal peaks in the range 15 to 90 degrees two-theta, sorted by position:
- hkl 0 1 0, 15.17 deg, I 52.6
- hkl 1 0 0, 15.49 deg, I 60.0
- hkl 0 1 1, 20.08 deg, I 37.1
- hkl -1 1 1, 23.52 deg, I 54.3
- hkl 1 1 -1, 25.66 deg, I 83.7
- hkl 0 0 2, 25.94 deg, I 43.1
- hkl 1 1 1, 27.27 deg, I 100.0
- hkl 1 -2 0, 32.74 deg, I 34.9
- hkl 1 1 -2, 33.68 deg, I 50.3
- hkl 0 3 -1, 48.41 deg, I 36.1

Structural model:
abc: 5.7856 5.8822 6.8975
angles: 90.09 95.22 96.83
Space group P1 (No. 1)
Symmetry-distinct sites (fractional):
1 Si 0.0000 0.0000 0.0000 (multiplicity 1)
2 Ag 0.4797 0.0323 0.7135 (multiplicity 1)
3 Ag 0.5239 0.4537 0.0378 (multiplicity 1)
4 As 0.4617 0.1613 0.3420 (multiplicity 1)
5 Se 0.1605 0.2715 0.8003 (multiplicity 1)
6 Se 0.2611 0.8082 0.2018 (multiplicity 1)
7 Se 0.7603 0.7409 0.8100 (multiplicity 1)
8 Se 0.8650 0.2357 0.2347 (multiplicity 1)
## End of the data records

Still, genetic factors that underlie the immune system’s misdirected activity in MS could independently explain the differences in antibody concentrations that the Harvard researchers observed, says H. Michael Dosch of the Hospital for Sick Children in Toronto, who remains unconvinced of the virus-MS connection. “The smoking gun could have been a whole lot smokier,” says Dosch.